What Tomas says about the Master's in Disaster Risk Management and Climate Change Adaptation
Tomas from Sweden
What is your educational background?
"Before coming to Lund to study, I studied in Malmö for 3 years, where I did a Bachelor’s in International Relations."
Why did you choose Lund University? What was your expectations before coming here and have they been fulfilled?
"Lund University is one of the best ranked universities in Europe, and it has a reputation of being including for all, with an immense number of activities and opportunities beyond the programme itself. This makes studies at Lund university very fun, and you get to meet people from all over the world.
Having studied in Malmö for three years before coming to Lund I had heard a lot about how studying in Lund would be, and I didn’t think the difference would be that big. Now, a few months into the studies, it is clear to me that in the world of Lund university is bigger than in Malmö, and the opportunities to meet new people and do new things are endless."
Inserted here: quantum chemistry results:
- - -
(1)
Here is a molecular structure, C2H4N4O2 at a distorted geometry from OMol25. Energies are from ωB97M-V/def2-TZVPD.

Computed properties:
strongest force on any atom = 7.34 eV/A
energy above the lowest of the compared OMol25 structures with the same formula, charge and spin = 83.16 kcal/mol
E_LUMO = 0.1 eV
gap between HOMO and LUMO = 0.37082 Eh

The geometry in ORCA input format:
```
! wB97M-V def2-TZVPD RIJCOSX def2/J DEFGRID3
* xyz 0 1
C -1.40 0.03 0.02
C 0.47 0.67 -0.08
H 2.66 -1.56 -0.27
H 1.20 -1.69 1.25
H -0.81 -1.93 -0.96
H 1.65 2.21 0.11
N 1.79 -1.04 0.52
N 0.75 -0.62 -0.56
N -0.62 -1.22 -0.11
N -0.71 1.13 0.23
O -2.63 0.07 0.11
O 1.68 1.31 -0.15
*
```

***

(2)
Here is a single C2H4N4O2 molecule at a distorted geometry from OMol25. Energies are from ωB97M-V/def2-TZVPD.

Computed properties:
strongest force on any atom = 7.72 eV/A
energy above the lowest of the compared OMol25 structures with the same formula, charge and spin = 113.12 kcal/mol
E_LUMO = 0.0 eV
structure (SMILES) = COn1[nH]nnc1=O
gap between HOMO and LUMO = 0.36276 Eh

The geometry in ORCA input format:
```
! wB97M-V def2-TZVPD RIJCOSX def2/J DEFGRID3
* xyz 0 1
C 1.82 -0.01 0.13
C -0.81 0.98 -0.20
H 2.68 0.04 -0.55
H 1.73 1.07 0.49
H 1.86 -0.82 0.96
H -1.27 -1.84 0.73
N -0.35 -0.18 -0.12
N -1.32 -1.15 -0.18
N -2.45 -0.47 -0.10
N -2.24 0.79 -0.21
O 0.75 -0.51 -0.78
O -0.40 2.10 -0.17
*
```

***

(3)
Here is 2 unconnected molecules or ions with the total composition C2H4N4O2 at a distorted geometry from OMol25. Energies are from ωB97M-V/def2-TZVPD.

Computed properties:
strongest force on any atom = 7.62 eV/A
energy above the lowest of the compared OMol25 structures with the same formula, charge and spin = 166.65 kcal/mol
E_LUMO = -0.9 eV
gap between HOMO and LUMO = 0.30067 Eh

The geometry in ORCA input format:
```
! wB97M-V def2-TZVPD RIJCOSX def2/J DEFGRID3
* xyz 0 1
C 1.26 -0.34 0.05
C -0.86 -0.71 0.16
H 3.08 0.32 -0.48
H -1.95 -2.15 0.14
H -2.62 1.15 -0.23
H 1.20 1.61 0.32
N 0.48 -1.36 0.35
N -2.12 -1.21 -0.22
N -0.57 0.64 -0.46
N 0.77 0.92 -0.31
O 2.59 -0.31 0.11
O -1.25 1.46 0.57
*
```

***

(4)
Here is a molecular structure, C2H4N4O2 at a distorted geometry from OMol25. Energies are from ωB97M-V/def2-TZVPD.

Computed properties:
strongest force on any atom = 6.71 eV/A
energy above the lowest of the compared OMol25 structures with the same formula, charge and spin = 131.78 kcal/mol
E_LUMO = 0.3 eV
gap between HOMO and LUMO = 0.32124 Eh

The geometry in ORCA input format:
```
! wB97M-V def2-TZVPD RIJCOSX def2/J DEFGRID3
* xyz 0 1
C -1.46 1.19 -0.18
C 0.08 -0.25 -1.04
H 0.88 0.03 1.37
H -0.23 -1.05 1.78
H -2.11 1.72 0.48
H 2.79 -1.38 0.11
N -0.25 -0.11 1.46
N -0.67 0.06 0.14
N -1.44 1.33 -1.45
N 1.28 -0.76 -1.01
O -0.46 0.52 -1.94
O 1.58 -1.30 0.29
*
```

***

(5)
Here is a single C2H4N4O2 molecule at a distorted geometry from OMol25. Energies are from ωB97M-V/def2-TZVPD.

Computed properties:
strongest force on any atom = 10.78 eV/A
- - -
End of the quantum chemistry results:
What does the programme entail?
"Disaster Risk Management and Climate Change Adaptation (DRMCCA) is a programme for people who want to work with strengthening communities on a local, regional, national, or global level. This is something that becomes very apparent in seminars and lectures, where there are always real-world examples from both the professors and from the other students. You also get to learn real, applicable frameworks that can be used outside of the university world."
Has the programme met your expectations so far?
"The programme has exceeded my expectations so far, especially how much I have learnt from the other students. Because everyone comes from different backgrounds you get introduced to so many new perspectives, which is beneficial in studies that are as complex as the DRMCCA. Moreover, the level of enthusiasm and involvement from the professors to make sure you learn and are able to keep up with the studies is amazing. It really feels like a sort of community between all the lecturers, the students, and the alumni network. I also have the feeling that getting a job after finishing these studies will not be too difficult, because of all the help you can get from this community."
What was your experience being a student at LTH (Faculty of Engineering)?
"LTH has a rich student tradition, the introductory period was intense and a lot of fun. I could then also get to know other LTH students outside of the programme, some of which have studied here for years, and they are always helpful if you have questions. I also feel like the level of ambition from the students’ side are high here. The programme itself is focused around how to resolve issues and challenges, and not just to academically discuss how to frame problems."
What do you do in your spare time?
"In my spare time I play a lot of football, almost every day. Other than that, I love to go hiking, cycling, camping, or basically any outdoor activity. I am also interested in climate related questions and try to engage as much as I can on a local level."
Do you have any other thoughts that you think could be interesting to people applying for this programme?
"Don’t let the fact that the programme is run by an engineering faculty scare you. It is more heavily weighted towards social sciences, and if anything, it being run by engineers just makes the whole programme more solution-oriented."
"The focus is on individual growth"
Momo from Germany
"The teachers encourage students to think outside the box"
== Inserted here: records of molecules ==
+++
No. 1
Formula: C51H69AsBaBrN8O3S
Source: OMol25
Level of theory: ωB97M-V with the def2-TZVPD basis set

Calculated total energy ... -214477.563 eV
Net charge ... +1
Energy relative to the best compared isomer or geometry (same formula, charge and spin) ... 0.9350 eV

Geometry as XYZ:
```
135
C51H69AsBaBrN8O3S | OMol25 | ωB97M-V with the def2-TZVPD basis set
Ba 0.44 -0.91 0.30
O -1.59 1.11 -2.42
C -0.87 1.45 -3.52
C -1.26 2.57 -4.25
C -0.54 2.94 -5.37
C 0.56 2.21 -5.78
C 0.93 1.09 -5.06
C 0.23 0.68 -3.93
C 0.64 -0.59 -3.20
O 0.41 -0.50 -1.85
N -0.05 -1.72 -3.76
N 0.52 -2.85 -3.21
C -0.18 -3.85 -2.86
C -1.66 -3.96 -2.81
Br -2.22 -4.83 -1.23
C -2.51 -3.47 -3.71
C -3.98 -3.46 -3.64
C -4.73 -4.63 -3.52
C -6.11 -4.56 -3.49
C -6.75 -3.34 -3.59
C -6.01 -2.17 -3.72
C -4.63 -2.24 -3.75
H -1.01 0.47 -1.94
H -2.11 3.13 -3.91
H -0.84 3.82 -5.93
H 1.12 2.51 -6.65
H 1.78 0.50 -5.38
H 1.71 -0.80 -3.39
H -1.07 -1.64 -3.63
H 0.38 -4.70 -2.46
H -2.06 -3.04 -4.59
H -4.23 -5.58 -3.45
H -6.69 -5.47 -3.40
H -7.83 -3.29 -3.57
H -6.50 -1.22 -3.81
H -4.05 -1.33 -3.86
C -5.97 2.88 -0.26
C -6.05 1.56 0.51
C -6.51 1.84 1.95
C -7.06 0.65 -0.17
C -4.66 0.93 0.58
C -4.41 -0.40 0.26
C -3.12 -0.90 0.35
N -2.09 -0.16 0.77
C -2.31 1.12 1.10
C -3.57 1.69 1.00
C -1.14 1.92 1.61
C -1.34 3.05 2.37
C -0.26 3.81 2.84
C 1.00 3.36 2.49
C 1.13 2.20 1.75
N 0.10 1.49 1.32
C -0.51 5.06 3.67
C -1.23 6.09 2.80
C -1.39 4.70 4.87
C 0.80 5.66 4.18
H -6.97 3.26 -0.42
H -5.50 2.74 -1.24
H -5.41 3.64 0.28
H -7.48 2.33 1.93
H -5.81 2.48 2.47
H -6.61 0.92 2.52
H -8.03 1.15 -0.20
H -7.20 -0.28 0.37
H -6.77 0.41 -1.19
H -5.19 -1.06 -0.07
H -2.91 -1.92 0.08
H -3.71 2.73 1.23
H -2.34 3.35 2.63
H 1.89 3.88 2.81
H 2.11 1.82 1.50
H -2.18 5.72 2.43
H -0.63 6.37 1.94
H -1.43 6.99 3.38
H -2.39 4.38 4.57
H -1.52 5.58 5.50
H -0.95 3.91 5.47
H 1.44 5.99 3.37
H 1.35 4.96 4.80
H 0.57 6.53 4.80
C 3.93 -2.76 -4.34
C 4.25 -2.80 -2.89
C 5.49 -2.67 -2.33
C 5.60 -2.83 -0.92
N 4.59 -3.07 -0.13
C 3.37 -3.20 -0.68
S 1.99 -3.69 0.12
N 3.23 -3.06 -2.04
C 6.94 -2.79 -0.27
H 4.74 -2.29 -4.89
H 3.00 -2.22 -4.52
H 3.79 -3.77 -4.72
H 6.35 -2.50 -2.95
H 2.28 -3.11 -2.40
H 7.70 -2.34 -0.90
H 7.26 -3.82 -0.05
H 6.87 -2.27 0.69
C -0.11 -4.73 3.22
C -0.41 -3.45 3.99
As 0.47 -1.90 3.16
C -0.15 -0.47 4.39
C 0.08 -0.69 5.88
C 2.27 -2.22 3.87
C 3.26 -1.13 3.46
H -0.67 -5.57 3.63
H 0.94 -4.98 3.25
H -0.39 -4.64 2.16
H -0.09 -3.53 5.03
H -1.49 -3.24 4.00
H -1.22 -0.36 4.17
H 0.33 0.46 4.06
H -0.39 -1.60 6.23
H -0.34 0.14 6.45
H 1.14 -0.74 6.12
H 2.58 -3.18 3.45
H 2.21 -2.32 4.95
H 3.45 -1.17 2.38
H 4.21 -1.26 3.97
H 2.89 -0.13 3.71
N 2.90 -0.16 -0.10
C 3.88 0.38 -0.32
N 5.03 0.97 -0.54
C 5.42 1.34 -1.89
C 6.93 1.29 -1.97
O 7.52 2.10 -0.97
C 7.18 1.65 0.32
C 5.67 1.72 0.54
H 5.06 2.35 -2.12
H 4.96 0.63 -2.59
H 7.28 1.68 -2.93
H 7.29 0.25 -1.86
H 7.70 2.30 1.03
H 7.53 0.62 0.46
H 5.34 2.77 0.49
H 5.38 1.30 1.50
```


No. 2
Formula: C51H73ClN4O20S
Source: OMol25
Level of theory: ωB97M-V with the def2-TZVPD basis set
+++
== The records of molecules stop here ==
Spilios from Greece
The programme structure is extremely intentional and well thought-out
AnaCapri from the USA
"Relevant skills that help me navigate between disciplines"
Minja from Finland
"The programme is created by people with experience in the field"
Jade from the Netherlands
"Lots of flexibility and we are encouraged to be creative"
Shu from Canada